Python Serial Tutorial

Install Python serial

Assumes Python has already been installed. This tutorial uses Python 2.7.12 and was created for Windows OS - in this case Windows 7. Download Python serial from Extract the downloaded files and then from the command prompt cd into the extracted folder where is and enter the command:

python install

This will install python serial. To check that it has installed properly a python serial command listing the com ports can be entered

python -m - this will list the available serial ports

Arduino test sketch

An arduino test sketch is shown below. The wiper of a potentiometer is connected to Arduino A0 pin with the other potentiometer terminals separately connected to 5V and GND. The sketch reads in the voltage on A0 and sends it along with sample time to the PC over the serial link. Ths data will then be used to test how the serial interface is handled using the python serial library.

Python Code

The main Python Serial functions deal with setting up the computer's com port and the serial read and write operations. To set up the serial port on Windows OS the Python script imports the serial library and configures the particluar serial port. To do this, at the start of the Python script insert the code:

import serial

- and then initialising the com ports by including the following code:

ser = serial.Serial('COM3',9600) - Note the com port and baud rate will be setup to match the particular computer's com port settings.

An example code snippet to allow a write over the serial interface is shown below. In this example the variable sample time is an integer which is then converted to a string and concatenated with a carriage return and line feed symbols prior to be sent over the serial link


The code for a serial read is shown below but in order to check there is serial data available the in_waiting function can be used. This is a non-blocking function that returns the number of bytes in the serial buffer. Once bytes have been detected the serial information can be read with the redline command:

**Attached: data records:**
~~~
[1]
The following is a simulated XRD peak list of Na4PtS4. It was derived from a cell relaxed with PBE, using CuKα.
Neutral-atom scattering factors, no anomalous dispersion.

Largest 10 diffraction maxima, low angle first, 10° ≤ 2θ ≤ 90°:
two_theta, I_rel
15.67, 48
17.71, 100
28.57, 70
32.06, 18
35.51, 22
35.87, 16
43.16, 18
45.67, 22
49.64, 27
59.58, 16

Structural model:
Unit cell a=7.9952 b=7.9952 c=6.4218 alpha=90.00 beta=90.00 gamma=90.00
Sites, in units of the cell vectors:
1 Na 0.0888 0.2962 0.4625
2 Na 0.2038 0.4112 0.9625
3 Na 0.2962 0.9112 0.5375
4 Na 0.4112 0.7962 0.0375
5 Na 0.5888 0.2038 0.0375
6 Na 0.7038 0.0888 0.5375
7 Na 0.7962 0.5888 0.9625
8 Na 0.9112 0.7038 0.4625
9 Pt 0.0000 0.0000 0.0000
10 Pt 0.5000 0.5000 0.5000
11 S 0.0904 0.7548 0.8442
12 S 0.2452 0.0904 0.1558
13 S 0.2548 0.5904 0.3442
14 S 0.4096 0.2548 0.6558
15 S 0.5904 0.7452 0.6558
16 S 0.7452 0.4096 0.3442
17 S 0.7548 0.9096 0.1558
18 S 0.9096 0.2452 0.8442



[2]
The following is a simulated XRD peak list of Na4PtSe4. It was derived from a cell relaxed with PBE, using CuKα.
Neutral-atom scattering factors, no anomalous dispersion.

Largest 10 diffraction maxima, low angle first, 10° ≤ 2θ ≤ 90°:
two_theta, I_rel
15.19, 32
16.94, 100
25.28, 23
27.53, 48
30.52, 20
36.92, 19
41.66, 19
43.82, 22
47.20, 33
47.37, 18

Structural model:
Unit cell a=8.2507 b=8.2507 c=6.7731 alpha=90.00 beta=90.00 gamma=90.00
Sites, in units of the cell vectors:
1 Na 0.0880 0.2936 0.4633
2 Na 0.2064 0.4120 0.9633
3 Na 0.2936 0.9120 0.5367
4 Na 0.4120 0.7936 0.0367
5 Na 0.5880 0.2064 0.0367
6 Na 0.7064 0.0880 0.5367
7 Na 0.7936 0.5880 0.9633
8 Na 0.9120 0.7064 0.4633
9 Pt 0.0000 0.0000 0.0000
10 Pt 0.5000 0.5000 0.5000
11 Se 0.0894 0.7510 0.8398
12 Se 0.2490 0.0894 0.1602
13 Se 0.2510 0.5894 0.3398
14 Se 0.4106 0.2510 0.6602
15 Se 0.5894 0.7490 0.6602
16 Se 0.7490 0.4106 0.3398
17 Se 0.7510 0.9106 0.1602
18 Se 0.9106 0.2490 0.8398



[3]
The following is a simulated XRD peak list of Na2PtSe3. It was derived from a cell relaxed with PBE, using CuKα.
Neutral-atom scattering factors, no anomalous dispersion.

Largest 10 diffraction maxima, low angle first, 10° ≤ 2θ ≤ 90°:
two_theta, I_rel
12.97, 74
15.72, 21
17.40, 16
26.67, 16
31.66, 100
40.77, 16
44.34, 32
46.42, 32
48.40, 15
57.28, 19

Structural model:
Unit cell a=6.7766 b=6.7766 c=7.1975 alpha=99.10 beta=99.10 gamma=119.99
Sites, in units of the cell vectors:
1 Na 0.0000 0.0000 0.0000
2 Na 0.1563 0.8437 0.5000
3 Na 0.5000 0.5000 0.5000
4 Na 0.8437 0.1563 0.5000
5 Pt 0.3327 0.6673 0.0000
6 Pt 0.6673 0.3327 0.0000
7 Se 0.0681 0.4424 0.2048
8 Se 0.3024 0.3024 0.7959
9 Se 0.4424 0.0681 0.2048
10 Se 0.5576 0.9319 0.7952
11 Se 0.6976 0.6976 0.2041
12 Se 0.9319 0.5576 0.7952



[4]
The following is a simulated XRD peak list of Na3Si5Pt10. It was derived from a cell relaxed with PBE, using CuKα.
Neutral-atom scattering factors, no anomalous dispersion.

Largest 10 diffraction maxima, low angle first, 10° ≤ 2θ ≤ 90°:
two_theta, I_rel
17.28, 100
~~~
**So much for the data records:**

if (ser.in_waiting > 0):

value = ser.readline()

The code listing for a simple Python serial script is shown below. This requires the previously mentioned Arduino sketch to be loaded to an Arduino board and the serial port within the Python script configured to match that used by the Arduino. The Arduino code reads in an analogue voltage on pin A0 and sends the ADC count over the serial interface to the computer. The time between samples is configured by the user by writing an integer value to the Arduino. Both the sample time and the ADC count are sent by the Arduino to the computer. The sketch and Python script can be downloaded at the end of this page.
